**Exercise:**
Could you write out the whole of the data further below character by character?

**Listing:**
+++
150
Properties=species:S:1:pos:R:3 method="wB97M-V/def2-TZVPD" multiplicity=1 gap_ev=10.059 energy_ev=-167416.508 e_lumo_ev=-0.2
C -8.09 -15.00 8.56
C -8.27 -14.07 9.73
O -9.25 -14.58 10.54
H -8.20 -16.06 8.80
H -7.05 -14.87 8.24
H -8.71 -14.75 7.70
H -8.55 -13.04 9.51
H -7.37 -13.92 10.34
H -9.59 -13.79 10.96
C -4.42 -18.85 6.09
C -5.30 -17.97 5.36
N -5.97 -17.24 4.81
H -3.56 -18.23 6.35
H -4.19 -19.80 5.61
H -5.05 -19.08 6.95
C -3.62 -20.97 10.67
C -2.19 -21.17 11.00
N -1.03 -21.34 11.18
H -4.10 -21.93 10.50
H -3.60 -20.33 9.78
H -4.25 -20.35 11.31
C -6.98 -16.27 13.49
C -6.61 -17.63 13.08
N -6.33 -18.70 12.73
H -6.18 -15.93 14.15
H -7.86 -16.29 14.13
H -7.10 -15.60 12.64
C -8.66 -17.82 5.69
C -8.21 -19.11 6.20
N -7.88 -20.12 6.61
H -9.75 -17.77 5.65
H -8.51 -17.62 4.63
H -8.22 -17.05 6.32
C -4.86 -13.11 13.86
C -5.56 -11.89 13.60
N -6.10 -10.90 13.39
H -3.84 -13.07 13.49
H -5.35 -13.99 13.43
H -4.78 -13.22 14.94
C -4.86 -9.83 10.55
C -3.73 -10.69 10.86
N -2.83 -11.37 11.11
H -5.05 -9.17 11.40
H -5.78 -10.40 10.48
H -4.65 -9.16 9.72
O -4.91 -13.45 3.04
S -3.67 -12.78 3.32
O -3.46 -11.36 3.11
O -3.14 -13.15 4.82
C -3.51 -14.43 5.31
C -2.21 -15.07 5.89
C -2.33 -13.68 2.41
H -4.01 -15.14 4.65
H -4.19 -14.22 6.13
H -2.35 -16.03 6.38
H -1.62 -14.49 6.60
H -1.44 -15.34 5.16
H -2.52 -14.75 2.45
H -1.36 -13.46 2.87
H -2.26 -13.39 1.36
O -10.24 -20.15 11.72
S -9.94 -21.55 12.05
O -11.01 -22.52 12.36
O -9.01 -22.18 10.82
C -8.19 -21.30 10.05
C -7.21 -22.08 9.19
C -8.70 -21.55 13.45
H -7.71 -20.60 10.74
H -8.79 -20.65 9.41
H -6.72 -22.84 9.80
H -6.40 -21.45 8.82
H -7.73 -22.57 8.37
H -8.02 -20.70 13.32
H -8.15 -22.49 13.53
H -9.33 -21.31 14.31
O -3.10 -9.38 4.83
S -3.61 -9.55 6.21
O -4.04 -8.49 7.05
O -4.79 -10.73 6.06
C -5.66 -10.98 7.18
C -6.47 -12.27 6.92
C -2.42 -10.54 7.20
H -6.31 -10.12 7.37
H -5.01 -11.11 8.05
H -6.51 -12.87 7.83
H -6.09 -12.81 6.06
H -7.53 -12.06 6.72
H -2.18 -11.48 6.71
H -2.90 -10.72 8.16
H -1.62 -9.80 7.30
O 2.00 -15.17 9.72
S 1.95 -16.54 9.14
O 2.19 -17.73 10.00
O 0.43 -16.69 8.43
C -0.01 -17.97 7.96
C -1.46 -18.03 8.32
C 3.07 -16.68 7.73
H 0.59 -18.80 8.34
H 0.06 -18.09 6.88
H -2.09 -17.20 8.01
H -1.58 -18.10 9.40
H -1.88 -18.92 7.85
H 2.54 -17.30 7.00
H 4.05 -17.06 8.02
H 3.29 -15.67 7.38
O -3.80 -13.47 8.39
S -4.14 -14.24 9.61
O -5.17 -13.77 10.50
O -4.50 -15.78 9.09
C -5.28 -16.54 9.97
C -5.65 -17.87 9.27
C -2.61 -14.70 10.57
H -6.25 -16.10 10.21
H -4.77 -16.79 10.90
H -6.23 -17.77 8.36
H -6.13 -18.62 9.90
H -4.66 -18.28 9.05
H -2.83 -15.49 11.29
H -2.20 -13.76 10.92
H -1.89 -15.12 9.86
O 0.45 -9.92 8.66
S 1.86 -10.30 8.83
O 2.95 -9.35 8.94
O 1.92 -11.26 10.23
C 0.84 -12.16 10.33
C 0.93 -12.88 11.71
C 2.28 -11.65 7.62
H 0.87 -12.94 9.57
H -0.14 -11.69 10.36
H 0.65 -12.15 12.47
H 1.99 -13.14 11.79
H 0.21 -13.70 11.73
H 3.07 -12.30 7.99
H 2.68 -11.25 6.69
H 1.39 -12.27 7.55
O -3.41 -15.75 14.03
S -2.78 -17.03 13.85
O -2.80 -17.71 12.57
O -1.17 -16.78 14.33
C -0.14 -17.77 14.00
C 0.46 -17.58 12.52
C -3.24 -18.19 15.16
H -0.54 -18.76 14.21
H 0.69 -17.49 14.65
H 0.94 -16.61 12.50
H -0.28 -17.78 11.75
H 1.24 -18.31 12.30
H -2.62 -19.09 15.09
H -4.29 -18.48 15.16
H -2.97 -17.56 16.00

=====

154
Properties=species:S:1:pos:R:3 method="wB97M-V/def2-TZVPD" total_charge=-1 multiplicity=1 gap_ev=3.865 energy_ev=-194492.306 e_lumo_ev=1.3
C -12.11 37.36 8.88
C -11.04 37.37 7.79
C -11.60 37.31 6.34
O -10.03 38.33 7.99
H -12.77 36.49 8.82
H -12.81 38.19 8.82
H -11.65 37.38 9.86
H -10.51 36.45 8.04
H -10.99 36.80 5.59
H -11.70 38.28 5.87
H -12.60 36.87 6.32
C -11.77 30.85 10.17
C -11.64 30.29 8.73
O -11.03 29.03 8.88
S -10.15 28.93 10.25
O -8.73 28.95 9.95
O -10.61 27.88 11.12
O -10.66 30.39 10.94
H -12.76 30.64 10.56
H -11.67 31.94 10.10
H -11.16 30.92 7.97
H -12.66 30.12 8.38
O -4.51 41.41 6.81
S -4.14 41.12 5.43
O -3.81 42.14 4.45
O -2.87 40.01 5.51
C -2.79 39.07 6.58
C -1.65 39.43 7.52
C -5.39 40.01 4.77
H -2.59 38.13 6.07
H -3.72 38.91 7.14
H -1.63 40.49 7.79
H -0.67 39.28 7.06
H -1.68 38.76 8.38
+++

**Result:**
150
Properties=species:S:1:pos:R:3 method="wB97M-V/def2-TZVPD" multiplicity=1 gap_ev=10.059 energy_ev=-167416.508 e_lumo_ev=-0.2
C -8.09 -15.00 8.56
C -8.27 -14.07 9.73
O -9.25 -14.58 10.54
H -8.20 -16.06 8.80
H -7.05 -14.87 8.24
H -8.71 -14.75 7.70
H -8.55 -13.04 9.51
H -7.37 -13.92 10.34
H -9.59 -13.79 10.96
C -4.42 -18.85 6.09
C -5.30 -17.97 5.36
N -5.97 -17.24 4.81
H -3.56 -18.23 6.35
H -4.19 -19.80 5.61
H -5.05 -19.08 6.95
C -3.62 -20.97 10.67
C -2.19 -21.17 11.00
N -1.03 -21.34 11.18
H -4.10 -21.93 10.50
H -3.60 -20.33 9.78
H -4.25 -20.35 11.31
C -6.98 -16.27 13.49
C -6.61 -17.63 13.08
N -6.33 -18.70 12.73
H -6.18 -15.93 14.15
H -7.86 -16.29 14.13
H -7.10 -15.60 12.64
C -8.66 -17.82 5.69
C -8.21 -19.11 6.20
N -7.88 -20.12 6.61
H -9.75 -17.77 5.65
H -8.51 -17.62 4.63
H -8.22 -17.05 6.32
C -4.86 -13.11 13.86
C -5.56 -11.89 13.60
N -6.10 -10.90 13.39
H -3.84 -13.07 13.49
H -5.35 -13.99 13.43
H -4.78 -13.22 14.94
C -4.86 -9.83 10.55
C -3.73 -10.69 10.86
N -2.83 -11.37 11.11
H -5.05 -9.17 11.40
H -5.78 -10.40 10.48
H -4.65 -9.16 9.72
O -4.91 -13.45 3.04
S -3.67 -12.78 3.32
O -3.46 -11.36 3.11
O -3.14 -13.15 4.82
C -3.51 -14.43 5.31
C -2.21 -15.07 5.89
C -2.33 -13.68 2.41
H -4.01 -15.14 4.65
H -4.19 -14.22 6.13
H -2.35 -16.03 6.38
H -1.62 -14.49 6.60
H -1.44 -15.34 5.16
H -2.52 -14.75 2.45
H -1.36 -13.46 2.87
H -2.26 -13.39 1.36
O -10.24 -20.15 11.72
S -9.94 -21.55 12.05
O -11.01 -22.52 12.36
O -9.01 -22.18 10.82
C -8.19 -21.30 10.05
C -7.21 -22.08 9.19
C -8.70 -21.55 13.45
H -7.71 -20.60 10.74
H -8.79 -20.65 9.41
H -6.72 -22.84 9.80
H -6.40 -21.45 8.82
H -7.73 -22.57 8.37
H -8.02 -20.70 13.32
H -8.15 -22.49 13.53
H -9.33 -21.31 14.31
O -3.10 -9.38 4.83
S -3.61 -9.55 6.21
O -4.04 -8.49 7.05
O -4.79 -10.73 6.06
C -5.66 -10.98 7.18
C -6.47 -12.27 6.92
C -2.42 -10.54 7.20
H -6.31 -10.12 7.37
H -5.01 -11.11 8.05
H -6.51 -12.87 7.83
H -6.09 -12.81 6.06
H -7.53 -12.06 6.72
H -2.18 -11.48 6.71
H -2.90 -10.72 8.16
H -1.62 -9.80 7.30
O 2.00 -15.17 9.72
S 1.95 -16.54 9.14
O 2.19 -17.73 10.00
O 0.43 -16.69 8.43
C -0.01 -17.97 7.96
C -1.46 -18.03 8.32
C 3.07 -16.68 7.73
H 0.59 -18.80 8.34
H 0.06 -18.09 6.88
H -2.09 -17.20 8.01
H -1.58 -18.10 9.40
H -1.88 -18.92 7.85
H 2.54 -17.30 7.00
H 4.05 -17.06 8.02
H 3.29 -15.67 7.38
O -3.80 -13.47 8.39
S -4.14 -14.24 9.61
O -5.17 -13.77 10.50
O -4.50 -15.78 9.09
C -5.28 -16.54 9.97
C -5.65 -17.87 9.27
C -2.61 -14.70 10.57
H -6.25 -16.10 10.21
H -4.77 -16.79 10.90
H -6.23 -17.77 8.36
H -6.13 -18.62 9.90
H -4.66 -18.28 9.05
H -2.83 -15.49 11.29
H -2.20 -13.76 10.92
H -1.89 -15.12 9.86
O 0.45 -9.92 8.66
S 1.86 -10.30 8.83
O 2.95 -9.35 8.94
O 1.92 -11.26 10.23
C 0.84 -12.16 10.33
C 0.93 -12.88 11.71
C 2.28 -11.65 7.62
H 0.87 -12.94 9.57
H -0.14 -11.69 10.36
H 0.65 -12.15 12.47
H 1.99 -13.14 11.79
H 0.21 -13.70 11.73
H 3.07 -12.30 7.99
H 2.68 -11.25 6.69
H 1.39 -12.27 7.55
O -3.41 -15.75 14.03
S -2.78 -17.03 13.85
O -2.80 -17.71 12.57
O -1.17 -16.78 14.33
C -0.14 -17.77 14.00
C 0.46 -17.58 12.52
C -3.24 -18.19 15.16
H -0.54 -18.76 14.21
H 0.69 -17.49 14.65
H 0.94 -16.61 12.50
H -0.28 -17.78 11.75
H 1.24 -18.31 12.30
H -2.62 -19.09 15.09
H -4.29 -18.48 15.16
H -2.97 -17.56 16.00

=====

154
Properties=species:S:1:pos:R:3 method="wB97M-V/def2-TZVPD" total_charge=-1 multiplicity=1 gap_ev=3.865 energy_ev=-194492.306 e_lumo_ev=1.3
C -12.11 37.36 8.88
C -11.04 37.37 7.79
C -11.60 37.31 6.34
O -10.03 38.33 7.99
H -12.77 36.49 8.82
H -12.81 38.19 8.82
H -11.65 37.38 9.86
H -10.51 36.45 8.04
H -10.99 36.80 5.59
H -11.70 38.28 5.87
H -12.60 36.87 6.32
C -11.77 30.85 10.17
C -11.64 30.29 8.73
O -11.03 29.03 8.88
S -10.15 28.93 10.25
O -8.73 28.95 9.95
O -10.61 27.88 11.12
O -10.66 30.39 10.94
H -12.76 30.64 10.56
H -11.67 31.94 10.10
H -11.16 30.92 7.97
H -12.66 30.12 8.38
O -4.51 41.41 6.81
S -4.14 41.12 5.43
O -3.81 42.14 4.45
O -2.87 40.01 5.51
C -2.79 39.07 6.58
C -1.65 39.43 7.52
C -5.39 40.01 4.77
H -2.59 38.13 6.07
H -3.72 38.91 7.14
H -1.63 40.49 7.79
H -0.67 39.28 7.06
H -1.68 38.76 8.38